Interior Designer Mally Skok Shares Her Favorite Things

Globe-trotter Mally Skok, of the eponymous Lincoln-based design firm, finds inspiration in her travels.

Hair and makeup by Bre Welch / Photo by Pat Piasecki

As the story goes for so many entrepreneurs, interior designer Mally Skok launched her business out of a spare bedroom. After she and her husband, David, traded a life in London for a fresh start in the Boston suburbs in 1995, she decided to turn her design hobby into a career, reimagining homes from her makeshift office. Marked by bright colors, bold patterns, and décor from South Africa (her native country), Skok’s style clashed with the more conservative design schemes in Boston. Yet she refused to change her aesthetic. “It wasn’t an easy move to the U.S., [but] I started finding my way,” says the principal of Lincoln-based Mally Skok Design.

Skok continued to grow her portfolio, but her business would expand further than she expected. During a trip to India in 2009, her sister Julia suggested that Skok launch her own line of fabrics as they browsed through locally made textiles at a market. “I told her, ‘Don’t be ridiculous,’” Skok says. But the seed was planted: When she returned home, Skok began dreaming up patterns inspired by her travels. Now, 10 years later, her collection consists of more than 150 fabrics and wallpapers. “I’m 65 and just hitting my stride. I suppose everyone is on a different trajectory,” she says. “I’ve found my design confidence.”

Ahead, Skok shares a few things, near and far, that she loves.

Photo by Christopher Simon Sykes

== Records of molecules from another source follow ==
~~~
(1)
ORCA calculation (ωB97M-V/def2-TZVPD) on a cluster of 2 separate species, C4H6OS in total in a non-equilibrium geometry.

Geometry as XYZ:
```
12
Properties=species:S:1:pos:R:3:forces:R:3
C -0.661 -1.575 0.913 -1.01 2.74 -3.30
C -0.980 -0.834 0.008 0.90 -2.60 1.97
C 1.444 1.217 0.651 -3.04 2.54 3.88
C -1.659 -0.038 -0.933 -1.17 2.52 -1.56
O 2.813 -0.774 -0.366 -0.14 -1.31 1.43
S 2.333 0.625 -0.536 3.53 0.33 -7.14
H -0.331 -2.180 1.637 1.04 -1.84 2.22
H 1.273 2.318 0.649 0.18 -1.14 0.19
H 1.385 0.596 1.486 -0.51 -0.40 1.65
H -1.556 -0.214 -2.040 0.37 -0.28 1.24
H -1.312 1.040 -0.758 -0.94 -1.22 -0.34
H -2.749 -0.182 -0.710 0.79 0.65 -0.25
```
Positions in Å, forces in eV/Å.

Computed properties:
E_HOMO (alpha / beta) (Eh): -0.25659 / -0.36628
<S²>: 2.01
Spin multiplicity: 3
Net charge: 0



(2)
ORCA calculation (ωB97M-V/def2-TZVPD) on a cluster of 12 separate species, C48H72O24 in total in a non-equilibrium geometry.

Geometry as XYZ:
```
144
Properties=species:S:1:pos:R:3:forces:R:3
O 9.129 22.430 -10.413 1.34 -1.94 -2.71
C 9.716 21.802 -11.295 -0.13 1.54 0.68
O 9.061 21.142 -12.348 -0.14 0.43 1.81
C 9.955 20.436 -13.195 1.63 0.96 0.59
C 11.338 20.399 -12.429 -0.34 0.98 -1.14
C 11.282 21.636 -11.498 -1.87 -1.55 1.08
H 10.069 21.080 -14.067 0.00 -0.33 -0.39
H 9.585 19.448 -13.468 -0.20 0.20 0.19
H 12.152 20.611 -13.121 -0.02 -0.56 -0.15
H 11.473 19.406 -12.001 0.13 0.38 0.51
H 11.806 22.530 -11.835 -0.42 -0.04 -0.39
H 11.679 21.441 -10.501 0.05 0.00 -0.04
O 9.187 28.063 -9.640 0.45 -0.91 -1.39
C 9.620 27.891 -10.766 -0.42 0.71 1.88
O 10.253 28.907 -11.375 0.72 0.43 -0.11
C 10.687 28.528 -12.687 -0.85 0.05 -0.90
C 9.642 27.426 -13.041 1.96 -0.15 -1.11
C 9.584 26.728 -11.728 -1.84 -0.67 1.31
H 11.729 28.209 -12.726 -0.09 -0.49 0.52
H 10.696 29.422 -13.310 -0.49 0.02 0.03
H 9.981 26.712 -13.792 0.20 0.24 -0.27
H 8.684 27.815 -13.385 0.03 0.21 0.36
H 10.339 25.989 -11.462 0.55 0.30 -0.42
H 8.664 26.153 -11.620 -0.16 0.17 0.28
O 17.271 26.342 -3.946 0.34 0.47 -2.37
C 17.411 26.661 -5.119 0.46 0.26 2.04
O 16.378 26.655 -5.988 0.49 -1.06 -0.63
C 16.814 27.203 -7.239 0.30 2.15 -0.24
C 18.356 27.143 -7.292 -0.77 -0.70 0.59
C 18.689 27.270 -5.803 -1.16 -0.89 0.13
H 16.497 28.242 -7.141 0.14 0.44 -0.27
H 16.320 26.890 -8.159 -0.18 -0.99 0.52
H 18.812 27.893 -7.938 -0.19 -0.05 0.07
H 18.595 26.142 -7.651 0.39 0.03 -0.06
H 18.708 28.317 -5.501 0.24 0.00 0.15
H 19.562 26.717 -5.455 -0.02 0.31 -0.03
O 16.036 22.134 -2.589 -0.99 0.94 -1.77
C 15.348 22.746 -3.407 1.14 -2.06 3.12
O 14.848 23.935 -3.099 0.67 -0.15 0.96
C 14.180 24.478 -4.178 0.03 0.94 -2.59
C 14.503 23.561 -5.409 -1.30 -0.07 0.16
C 14.822 22.258 -4.721 1.39 -0.32 0.05
H 14.653 25.424 -4.439 -0.55 0.37 0.52
H 13.117 24.570 -3.955 0.04 0.09 -0.13
H 15.353 23.937 -5.977 0.09 0.05 0.22
H 13.656 23.492 -6.092 0.00 0.06 0.05
H 15.647 21.682 -5.141 -0.21 -0.05 -0.34
H 14.023 21.552 -4.496 -0.31 0.26 -0.20
O 10.129 30.264 -6.362 -2.58 -0.77 0.33
C 9.092 29.605 -6.233 1.86 -0.12 0.47
~~~
== The text goes on ==

Robert Kime

[He is] my design hero. When I lived in London, I used to drool outside the window of his tiny corner shop. He’s the master of mixing priceless antiques and textiles with the everyday.

Photo by Mathanki Kodavasal/Flickr


The color palette of the whitewashed buildings [on this Greek island] against the Aegean blue sky makes my heart sing. I also love the palette of the ancient fishing boats bobbing in the port and layers upon layers of simple paint colors—red and yellow, and the most perfect blue.

Adobe Stock Photo


The flora is unique to the coastal regions of the Eastern and Western Capes. They are often the most beautiful, delicate flowers that you encounter while hiking in South Africa. They fill my heart with joy.

In the Thick of It, 2017, by Patrick Dougherty, courtesy of Pinecrest Gardens, Pinecrest, FL. / Photo by Ken Johnson

Patrick Dougherty “Stick Works”

I adore the world that Patrick has created out of sticks and twigs. [His pieces] transport us to another universe. I could stare at his creations for hours, and [want] to visit as many as I can find.

Photo courtesy of Hassler Roma

Hassler Roma

These days, hipster hotels are always trying to outdo one another. I love old-school hotels—the feeling of a quiet lobby, giant mahogany concierge desks, and people quietly reading the newspaper. The whole hushed atmosphere is something we seldom encounter anymore.

Molecular data, kept here for reference
No. 1
{
  "formula": "C34H50N8",
  "method": "ωB97M-V/def2-TZVPD",
  "de_lowest_kcal_mol": 930.6,
  "mol_weight_g_mol": 570.83,
  "e_lumo_ha": 0.0232,
  "symbols": ["N", "C", "C", "C", "C", "H", "H", "H", "H", "H", "N", "C", "C", "C", "C", "H", "H", "H", "H", "H", "N", "C", "C", "C", "C", "H", "H", "H", "H", "H", "N", "C", "C", "C", "C", "H", "H", "H", "H", "H", "N", "C", "C", "C", "C", "H", "H", "H", "H", "H", "N", "C", "C", "C", "C", "H", "H", "H", "H", "H", "N", "C", "C", "C", "C", "H", "H", "H", "H", "H", "C", "C", "N", "C", "C", "C", "C", "H", "H", "H", "H", "H", "H", "H", "H", "H", "H", "H", "H", "H", "H", "H"],
Back to the article


What I’m Reading
Where the Crawdads Sing by Delia Owens. I enjoy books that have nature intertwined in their themes. Plus, it has a female heroine. I always like a good lady hero!

Molecular data from another source follow =
<<<
A 7-piece molecular cluster, C10H34ClN2O10 overall, computed with ωB97M-V with the def2-TZVPD basis set.

```
57
Properties=species:S:1:pos:R:3:forces:R:3
Cl -1.579 0.033 -0.540 -0.2 -0.9 0.7
O -2.635 0.429 -1.442 0.3 0.5 0.4
O -1.037 1.099 0.251 -0.1 0.9 -0.5
O -2.122 -0.929 0.416 -0.1 -0.4 -0.4
O -0.519 -0.580 -1.308 0.1 -0.3 0.0
O -1.925 -3.374 -1.907 0.0 0.0 0.0
H -1.427 -2.613 -1.569 -0.1 -0.1 -0.1
H -2.803 -3.270 -1.527 0.1 0.1 0.0
O -2.883 -1.365 3.256 -0.1 0.1 -0.1
H -3.809 -1.622 3.207 0.1 0.0 0.0
H -2.699 -0.957 2.395 0.1 -0.1 0.0
O -1.180 -4.224 1.562 0.0 0.0 0.2
H -2.055 -4.238 1.162 0.1 0.1 -0.1
H -1.045 -3.301 1.810 -0.1 -0.1 -0.1
C -4.973 4.491 1.694 -1.0 0.6 0.9
C -3.832 3.577 1.288 0.2 0.5 -0.3
C -3.402 2.636 2.401 -0.4 -0.2 1.1
O -3.291 3.274 3.680 0.0 0.0 0.1
C -2.276 4.237 3.686 0.2 0.5 -0.5
N -4.260 2.790 0.129 0.3 0.1 -0.2
H -5.323 5.183 0.922 0.3 -0.4 -0.5
H -4.770 5.176 2.529 0.5 -0.4 0.0
H -5.865 3.945 2.018 0.2 -0.3 -0.2
H -3.010 4.264 1.032 0.2 -0.4 0.0
H -2.474 2.083 2.240 0.1 0.2 -0.6
H -4.185 1.887 2.546 -0.1 0.0 -0.1
H -2.087 4.644 4.677 -0.3 -0.3 0.2
H -2.559 5.082 3.049 0.1 0.1 0.0
H -1.327 3.848 3.302 0.0 -0.2 0.0
H -4.098 3.367 -0.691 -0.2 -0.2 -0.1
H -3.658 1.983 -0.026 0.0 0.0 0.1
C 3.122 -1.795 1.532 0.6 1.8 0.0
C 3.061 -1.907 0.011 -0.2 -0.6 0.6
C 4.376 -2.541 -0.502 -1.2 0.5 -0.7
O 5.539 -1.907 -0.015 0.0 -0.3 0.1
C 5.764 -0.668 -0.645 0.8 -0.1 -0.3
N 1.895 -2.736 -0.345 0.4 0.1 -0.5
H 4.027 -1.222 1.777 0.1 -0.3 0.0
H 3.156 -2.723 2.092 -0.2 -0.3 -0.3
H 2.352 -1.120 1.918 -0.4 -0.5 -0.1
H 2.881 -0.933 -0.456 0.5 0.3 0.3
H 4.361 -2.461 -1.598 0.1 -0.2 -0.1
H 4.333 -3.601 -0.256 0.5 0.0 0.3
H 4.871 -0.044 -0.673 0.1 0.2 0.1
H 6.145 -0.794 -1.672 -0.4 -0.2 0.0
H 6.598 -0.191 -0.126 -0.3 0.2 0.3
H 1.087 -2.143 -0.164 -0.1 -0.3 0.0
H 1.891 -2.833 -1.362 -0.1 -0.2 0.1
C 2.448 -0.347 -3.687 0.2 -0.2 -1.0
C 3.146 -1.182 -4.764 0.2 0.5 -0.2
O 2.261 -2.148 -5.320 0.3 -0.1 0.2
H 1.751 0.269 -4.261 -0.2 0.2 0.5
H 3.144 0.307 -3.163 0.0 0.0 0.1
H 1.885 -0.981 -3.005 0.1 0.1 0.2
H 4.070 -1.658 -4.429 -0.4 -0.5 0.2
H 3.489 -0.522 -5.575 -0.1 0.1 0.1
H 1.455 -1.674 -5.553 0.0 -0.1 0.0
```
Positions in Å, forces in eV/Å.

Values from the calculation:
E_tot (eV): -46893.004
Net charge: -1
HOMO energy (eV): -6.76
HOMO-LUMO gap (eV): 9.45

Atomic partial charges in e from the natural (NBO) method, atoms 1 to 8: atom 1 (Cl): 2.54, atom 2 (O): -0.85, atom 3 (O): -0.86, atom 4 (O): -0.92, atom 5 (O): -0.89, atom 6 (O): -0.96, atom 7 (H): 0.49, atom 8 (H): 0.46

C17H40BF4InNO3 as an isolated structure, computed with ωB97M-V with the def2-TZVPD basis set.

```
67
Properties=species:S:1:pos:R:3:forces:R:3
C 5.042 -1.066 1.671 -0.3 -0.1 -0.1
C 4.381 0.070 0.888 -0.1 -0.3 -0.1
C 3.357 -0.469 -0.116 0.2 0.1 -0.1
C 2.909 0.564 -1.156 0.1 0.1 0.0
C 2.419 0.017 -2.517 -0.1 0.0 0.2
In 1.424 -1.992 -2.546 0.0 -0.1 0.4
B -0.779 -1.725 -1.956 0.1 0.0 -0.2
O -1.097 -0.691 -1.068 -0.1 -0.5 0.5
N -1.954 -2.532 -2.408 -0.1 0.5 0.3
>>>

What I’m Watching
My kids laugh at me because I watch endless installments of Midsomer Murders on my iPad to put me to sleep at night. The plot lines are so totally unlikely, but I love the settings, the pretentious interiors in the posh houses, and the adorable English country towns and the cozy pubs.

What I’m Drinking
South African wine. My favorite is Secateurs by AA Badenhorst Family Wines. Chenin blanc is not a popular cultivar here in the states, but I like the clean and green [taste], low sugar, and high acidity of that type of wine. I like wine that gets you in the jaw!

What I’m Eating
Our area has really upped its game in the past couple of years. We rotate between Saltbox Kitchen (best lunches), Woods Hill Table (best grilled broccoli), and 80 Thoreau (a date-night spot).